Battery storage and solar will be combined in a $42.5 million project for far north Queensland which will provide enough electricity to power 3,000 homes.

The Australian Renewable Energy Agency is providing $17.4 million funding support for Conergy Group subsidiary Lakeland Solar & Storage to build and operate a 10.8MW solar PV plant with 1.4MW (5.3MWh) of lithium-ion battery storage near Lakeland, about 90km north-west of Port Douglas.

The project will use stored energy to supply solar power after sundown and during peak usage times.

“Figuring out how solar PV and battery storage technologies best work together at a large scale will be crucial for helping more renewables enter our grids,” said ARENA CEO Ivor Frischknecht.

“The benefit of adding batteries to solar farms is simple; they store energy from the sun for use at peak times and overnight. They can also smooth solar energy output on cloudy days.”

The plant will generate and store enough renewable energy to power more than 3,000 homes, he said, and create up to 60 jobs during construction.

“Solar farms with storage can be especially useful at the edges of our electricity grids. This project adds to ARENA’s portfolio of fringe-of-grid projects, which prove how renewables can enhance the reliability of energy supply in regional Australia and benefit local networks.

Fringe-of-grid locations face challenges with reliability and outages caused by network constraints, a lack of infrastructure and long distance power lines, he said.

== Unrelated to this piece: data records ==
........
[1]
SmZrGa3 | Alexandria | PBE | optimized geometry; magnetization = 0.00 μB/atom
1.0
-3.697 -0.680 1.599
0.432 -3.983 -0.695
4.978 0.565 11.753
Sm Zr Ga
2 2 6
direct
0.250 0.076 0.152 Sm
0.750 0.924 0.848 Sm
0.250 0.794 0.588 Zr
0.750 0.206 0.412 Zr
0.250 0.376 0.752 Ga
0.750 0.624 0.248 Ga
0.250 0.474 0.949 Ga
0.750 0.526 0.051 Ga
0.750 0.317 0.634 Ga
0.250 0.683 0.366 Ga



[2]
Tb2AlHg | Alexandria | PBE | optimized geometry; magnetization = 0.00 μB/atom
1.0
3.667 0.000 0.000
1.834 3.176 0.000
1.834 1.059 9.258
Tb Hg Al
2 1 1
direct
0.253 0.253 0.241 Tb
0.747 0.747 0.759 Tb
0.500 0.500 0.500 Hg
0.000 0.000 0.000 Al



Looking at formation energy for the records above, in order, we have -0.623 -0.269 eV per atom.

~~~~~

1.
VASP calculation (PBE) on a relaxed structure of NbTcNi.

The structure in POSCAR format:
```
NbTcNi
1.0
0.000 2.894 2.894
2.894 0.000 2.894
2.894 2.894 0.000
Nb Tc Ni
1 1 1
direct
0.000 0.000 0.000 Nb
0.500 0.500 0.500 Tc
0.250 0.250 0.250 Ni
```

Computed properties:
The value obtained for the energy relative to the lowest polymorph listed for this composition is 0.000 eV per atom. The calculated formation energy is 0.424 eV/atom. The total DFT energy (no corrections) comes out at -8.250 eV/atom.

***

2.
VASP calculation (PBE) on a relaxed structure of HoBPt.

The structure in POSCAR format:
```
HoBPt
1.0
0.000 2.935 2.935
2.935 0.000 2.935
2.935 2.935 0.000
Ho B Pt
1 1 1
direct
0.000 0.000 0.000 Ho
0.250 0.250 0.250 B
0.500 0.500 0.500 Pt
```

Computed properties:
The value obtained for the energy relative to the lowest polymorph listed for this composition is 0.000 eV per atom. The total DFT energy (no corrections) comes out at -6.087 eV/atom.

***

3.
VASP calculation (PBE) on a relaxed structure of LuZnCd.

The structure in POSCAR format:
```
LuZnCd
1.0
0.000 3.305 3.305
3.305 0.000 3.305
3.305 3.305 0.000
Lu Zn Cd
1 1 1
direct
0.000 0.000 0.000 Lu
0.500 0.500 0.500 Zn
0.250 0.250 0.250 Cd
```

Computed properties:
The calculated formation energy is 0.040 eV/atom. The total DFT energy (no corrections) comes out at -2.188 eV/atom.

***

4.
VASP calculation (PBE) on a relaxed structure of Cu5Ag4.

The structure in POSCAR format:
```
Cu5Ag4
1.0
-1.401 1.401 16.724
1.401 -1.401 16.724
1.401 1.401 -16.724
Cu Ag
5 4
direct
0.000 0.000 0.000 Cu
0.112 0.112 0.000 Cu
0.227 0.227 0.000 Cu
0.773 0.773 0.000 Cu
0.888 0.888 0.000 Cu
0.331 0.331 0.000 Ag
0.444 0.444 0.000 Ag
0.556 0.556 0.000 Ag
0.669 0.669 0.000 Ag
```

Computed properties:
The value obtained for the energy relative to the lowest polymorph listed for this composition is 0.053 eV per atom. The calculated formation energy is 0.093 eV/atom. The total DFT energy (no corrections) comes out at -3.227 eV/atom.

***

5.
VASP calculation (PBE) on a relaxed structure of HoInHgTe3.

The structure in POSCAR format:
```
HoInHgTe3
1.0
15.054 0.000 0.000
0.000 4.445 0.000
0.000 0.000 11.813
Ho In Hg Te
4 4 4 12
direct
0.026 0.250 0.159 Ho
0.474 0.750 0.659 Ho
........

“This project is aiming to be the first in the world to test a concept known as ‘islanding’ from the main electricity grid. The local town of Lakeland will be powered solely by solar and batteries for several hours during these tests.”

The project will be connected to the Ergon Energy network. A detailed battery testing plan will be implemented over the first two years of operations, culminating in testing ‘island mode’ during the evening peak.

Materials data from another source follow =
No. 1
The following is a DFT calculation (PBE) of a relaxed KUAsO5 crystal.

Unit cell a=6.461 b=6.461 c=8.372 alpha=106.50 beta=106.50 gamma=102.98
Atoms (fractional coordinates):
1 K 0.071 0.929 0.750
2 K 0.929 0.071 0.250
3 U 0.000 0.500 0.000
4 U 0.500 0.000 0.500
5 As 0.433 0.567 0.750
6 As 0.567 0.433 0.250
7 O 0.139 0.282 0.050
8 O 0.237 0.763 0.250
9 O 0.246 0.605 0.863
10 O 0.282 0.139 0.550
11 O 0.395 0.754 0.637
12 O 0.605 0.246 0.363
13 O 0.718 0.861 0.450
14 O 0.754 0.395 0.137
15 O 0.763 0.237 0.750
16 O 0.861 0.718 0.950

Results
Calculated density ... 4.735 g/cm³
N(E_F) ... 0.0 states/eV/f.u.
E_tot ... -120.1 eV for the cell shown

=====

No. 2
The following is a DFT calculation (PBE) of a relaxed MgBeHS crystal.

Unit cell a=5.863 b=5.863 c=5.863 alpha=33.72 beta=33.72 gamma=33.72
Atoms (fractional coordinates):
1 Mg 0.000 0.000 0.000
2 Be 0.474 0.474 0.474
3 H 0.664 0.664 0.664
4 S 0.839 0.839 0.839

Results
Offset from the most stable computed form ... 0.016 eV per atom
Calculated density ... 1.992 g/cm³
N(E_F) ... 0.5 states/eV/f.u.
E_tot ... -14.3 eV for the cell shown

----------

Record 1
Material: Tm2ReRu3
Method: DFT, PBE-GGA
State: relaxed

a = 5.4514 Å, b = 5.4514 Å, c = 8.2634 Å
α = 90.00°, β = 90.00°, γ = 120.00°
Positions (direct):
Tm1 0.3333 0.6667 0.0619
Tm2 0.3333 0.6667 0.4381
Tm3 0.6667 0.3333 0.5619
Tm4 0.6667 0.3333 0.9381
Re1 0.0000 0.0000 0.0000
Re2 0.0000 0.0000 0.5000
Ru1 0.1717 0.3434 0.7500
Ru2 0.1717 0.8283 0.7500
Ru3 0.3434 0.1717 0.2500
Ru4 0.6566 0.8283 0.7500
Ru5 0.8283 0.1717 0.2500
Ru6 0.8283 0.6566 0.2500

Calculated values
formation enthalpy at 0 K = -0.359 eV per atom
size of the total moment = 0.00 μB per atom
E = -0.315 hartree per atom
space-group type = P6_3/mmc



Record 2
Material: TbSmCCl
Method: DFT, PBE-GGA
State: relaxed

a = 7.3368 Å, b = 7.3368 Å, c = 7.3368 Å
α = 29.03°, β = 29.03°, γ = 29.03°
Positions (direct):
Tb1 0.0000 0.0000 0.0000
Sm1 0.2074 0.2074 0.2074
C1 0.6073 0.6073 0.6073
Cl1 0.4334 0.4334 0.4334

Calculated values
uncorrected formation energy = -1.0647 eV per atom
size of the total moment = 0.00 μB per atom
E = -0.227 hartree per atom
space-group type = R3m



Record 3
Material: Nb2RuF
Method: DFT, PBE-GGA
State: relaxed

a = 4.4237 Å, b = 4.4237 Å, c = 4.4237 Å
α = 60.00°, β = 60.00°, γ = 60.00°
Positions (direct):
Nb1 0.2500 0.2500 0.2500
Nb2 0.7500 0.7500 0.7500
Ru1 0.0000 0.0000 0.0000
F1 0.5000 0.5000 0.5000

Calculated values
offset from the most stable computed form = 0.000 eV per atom
uncorrected formation energy = -0.2638 eV per atom
size of the total moment = 0.00 μB per atom
E = -0.297 hartree per atom
space-group type = Fm-3m



Repeat the third record exactly.
Material: Nb2RuF
Method: DFT, PBE-GGA
State: relaxed

a = 4.4237 Å, b = 4.4237 Å, c = 4.4237 Å
α = 60.00°, β = 60.00°, γ = 60.00°
Positions (direct):
Nb1 0.2500 0.2500 0.2500
Nb2 0.7500 0.7500 0.7500
Ru1 0.0000 0.0000 0.0000
F1 0.5000 0.5000 0.5000

Calculated values

Frischknecht said ARENA had worked with Conergy to form a knowledge sharing steering committee, joined by BHP Billiton, Ergon Energy and Origin Energy.

********
Model A:
DFT (PBE) results for a geometry-optimized BiAsH structure.

abc: 4.216 9.041 6.801
angles: 39.30 89.79 103.80
Fractional positions:
1 H 0.834 0.670 0.874
2 H 0.166 0.330 0.126
3 As 0.175 0.342 0.885
4 As 0.825 0.658 0.115
5 Bi 0.492 0.988 0.237
6 Bi 0.508 0.012 0.763

=====

Model B:
DFT (PBE) results for a geometry-optimized BiAsH structure.

abc: 4.282 8.574 8.933
angles: 95.20 90.00 90.00
Fractional positions:
1 Bi 0.750 0.388 0.639
2 Bi 0.250 0.112 0.361
3 Bi 0.250 0.612 0.361
4 Bi 0.750 0.888 0.639
5 As 0.750 0.359 0.328
6 As 0.250 0.141 0.672
7 As 0.250 0.641 0.672
8 As 0.750 0.859 0.328
9 H 0.462 0.021 0.969
10 H 0.962 0.479 0.031
11 H 0.538 0.979 0.031
12 H 0.038 0.521 0.969

=====

According to the calculations, the structures order from most to least stable as model B, model A.


A plane-wave DFT calculation with PBE+U was carried out for a relaxed structure of Fe2NiIrO6.

The total DFT energy (no corrections) comes out at -6.194 eV/atom. The density of states at the Fermi level comes out at 5.27 states/eV/f.u.

The structure belongs to space group R3 (No. 146, hexagonal axes); the cell edges are 5.1057, 5.1057 and 13.7638 Å and the angles 90.00°, 90.00° and 120.00°. The inequivalent atoms are Fe at (0.0000, 0.0000, 0.0000), Fe at (0.0000, 0.0000, 0.4877), Ni at (0.0000, 0.0000, 0.1998), Ir at (0.0000, 0.0000, 0.6873), O at (0.0016, 0.3060, 0.0914) and O at (0.0169, 0.6495, 0.2623).
********

BHP Billiton will gain valuable insights into the potential for solar and storage to assist its remote operations, he said, and Ergon is considering if the approach could help avoid network upgrade costs in other regional communities.

“More broadly, the project will develop an improved connection process for solar PV plus battery plants and share information with the industry and relevant regulatory bodies.”

The $42.5 million project is scheduled for completion in April 2017.